Contents:
(1)
VASP calculation (PBE-GGA) on a relaxed structure of K2RbZrCu.

Lattice parameters (Å, degrees): 6.776 6.776 6.938 90.00 90.00 90.00
Space group P4/mmm (No. 123)
Asymmetric unit:
K 0.000 0.500 0.000 x2
Rb 0.000 0.000 0.500 x1
Zr 0.000 0.000 0.000 x1
Cu 0.500 0.500 0.500 x1

Summary:
Raw total energy, eV/atom: -1.7985
Crystal system: tetragonal

---

(2)
VASP calculation (PBE-GGA) on a relaxed structure of KCuRe2.

Lattice parameters (Å, degrees): 2.763 3.752 7.930 90.00 90.00 90.00
Space group Pmm2 (No. 25)
Asymmetric unit:
K 0.000 0.000 0.000 x1
Cu 0.500 0.500 0.684 x1
Re 0.000 0.000 0.503 x1
Re 0.500 0.500 0.354 x1

Summary:
Energy above the most stable polymorph in this dataset, meV/atom: 53.0
Crystal system: orthorhombic

* * * * *

# Na2Co3RhF12

An optimized crystal structure of Na2Co3RhF12 (GGA+U, Alexandria).

a = 6.9854 Å, b = 6.9854 Å, c = 6.9854 Å
α = 64.13°, β = 64.13°, γ = 64.13°
Fractional positions:
Na: 0.1519 0.1519 0.1519
Na: 0.8481 0.8481 0.8481
Co: 0.0000 0.5000 0.5000
Co: 0.5000 0.0000 0.5000
Co: 0.5000 0.5000 0.0000
Rh: 0.5000 0.5000 0.5000
F: 0.1085 0.6220 0.6220
F: 0.2139 0.2139 0.5986
F: 0.2139 0.5986 0.2139
F: 0.3780 0.3780 0.8915
F: 0.3780 0.8915 0.3780
F: 0.4014 0.7861 0.7861
F: 0.5986 0.2139 0.2139
F: 0.6220 0.1085 0.6220
F: 0.6220 0.6220 0.1085
F: 0.7861 0.4014 0.7861
F: 0.7861 0.7861 0.4014
F: 0.8915 0.3780 0.3780

Summary:
VASP energy   -4.579 eV/atom
Wanted:
The reader should copy all of the lines earlier on with every line break kept.
Solution:
(1)
VASP calculation (PBE-GGA) on a relaxed structure of K2RbZrCu.

Lattice parameters (Å, degrees): 6.776 6.776 6.938 90.00 90.00 90.00
Space group P4/mmm (No. 123)
Asymmetric unit:
K 0.000 0.500 0.000 x2
Rb 0.000 0.000 0.500 x1
Zr 0.000 0.000 0.000 x1
Cu 0.500 0.500 0.500 x1

Summary:
Raw total energy, eV/atom: -1.7985
Crystal system: tetragonal

---

(2)
VASP calculation (PBE-GGA) on a relaxed structure of KCuRe2.

Lattice parameters (Å, degrees): 2.763 3.752 7.930 90.00 90.00 90.00
Space group Pmm2 (No. 25)
Asymmetric unit:
K 0.000 0.000 0.000 x1
Cu 0.500 0.500 0.684 x1
Re 0.000 0.000 0.503 x1
Re 0.500 0.500 0.354 x1

Summary:
Energy above the most stable polymorph in this dataset, meV/atom: 53.0
Crystal system: orthorhombic

* * * * *

# Na2Co3RhF12

An optimized crystal structure of Na2Co3RhF12 (GGA+U, Alexandria).

a = 6.9854 Å, b = 6.9854 Å, c = 6.9854 Å
α = 64.13°, β = 64.13°, γ = 64.13°
Fractional positions:
Na: 0.1519 0.1519 0.1519
Na: 0.8481 0.8481 0.8481
Co: 0.0000 0.5000 0.5000
Co: 0.5000 0.0000 0.5000
Co: 0.5000 0.5000 0.0000
Rh: 0.5000 0.5000 0.5000
F: 0.1085 0.6220 0.6220
F: 0.2139 0.2139 0.5986
F: 0.2139 0.5986 0.2139
F: 0.3780 0.3780 0.8915
F: 0.3780 0.8915 0.3780
F: 0.4014 0.7861 0.7861
F: 0.5986 0.2139 0.2139
F: 0.6220 0.1085 0.6220
F: 0.6220 0.6220 0.1085
F: 0.7861 0.4014 0.7861
F: 0.7861 0.7861 0.4014
F: 0.8915 0.3780 0.3780

Summary:
VASP energy   -4.579 eV/atom